Here is an attempt to capture moments of my reality... A diary of the very things I never pay attention to - uncensored and rough. Thoughts and details I would never think of adding or dwell on... It's probably the most boring thing to do, but I'm still trying to figure out the meaning of absolutely everything in the world and so it is I have to start somewhere (which would be me)... It's a little experiment, really. I am, after all, always ready to become my own guinea pig to push the boundless limits of my mind.

Saturday 6 August 2011


Last night, something strange happened - inside my head, I suppose. I was sitting in someone else's kitchen, reading an old newspaper going on about Amy Winehouse's death. And then someone started talking about something trivial that everyone is 'supposed' to do, and words escaped my mouth before I could even stop myself. I wanted to say how bullshit it all is, how much none of it should even EXIST, and as I started rambling about just that, I was greeted by mere silence and raised eyebrows.

Someone pasted data records at this point >
____________
1.
{
  "formula": "Mg14AlB",
  "functional": "PBE-GGA",
  "state": "optimized geometry",
  "cell": [[3.205, -5.425, 0.000], [3.205, 5.425, 0.000], [0.000, 0.000, 9.785]],
  "species": ["Mg", "Mg", "Mg", "Mg", "Mg", "Mg", "Mg", "Mg", "Mg", "Mg", "Mg", "Mg", "Mg", "Mg", "Al", "B"],
  "frac_coords": [[0.838, 0.162, 0.000], [0.336, 0.664, 0.000], [0.357, 0.131, 0.500], [0.330, 0.169, 0.000], [0.869, 0.643, 0.500], [0.831, 0.670, 0.000], [0.176, 0.357, 0.286], [0.176, 0.357, 0.714], [0.643, 0.824, 0.286], [0.643, 0.824, 0.714], [0.668, 0.332, 0.250], [0.668, 0.332, 0.750], [0.166, 0.834, 0.255], [0.166, 0.834, 0.745], [0.836, 0.164, 0.500], [0.299, 0.701, 0.500]],
  "dos_at_fermi_per_ev_fu": 7.6,
  "relative_energy_mev_per_atom": 0,
  "volume_a3_per_cell": 340,
  "formation_energy_ev_per_atom": 0.167,
  "total_energy_ev_per_atom": -1.88
}

***

2.
{
  "formula": "InFeMoPt2",
  "functional": "PBE-GGA",
  "state": "optimized geometry",
  "cell": [[4.814, 0.000, 0.000], [0.000, 5.178, 0.000], [0.000, 0.000, 4.814]],
  "species": ["Mo", "Fe", "Pt", "Pt", "In"],
  "frac_coords": [[0.000, 0.000, 0.000], [0.500, 0.500, 0.500], [0.000, 0.000, 0.500], [0.500, 0.000, 0.000], [0.000, 0.500, 0.000]],
  "dos_at_fermi_per_ev_fu": 6.9,
  "volume_a3_per_cell": 120,
  "formation_energy_ev_per_atom": 1.280,
  "total_energy_ev_per_atom": -5.54
}

***

3.
{
  "formula": "Tm3Co2Si3",
  "functional": "PBE-GGA",
  "state": "optimized geometry",
  "cell": [[-5.380, -0.925, 0.499], [-0.660, -0.261, -7.606], [2.317, -13.334, 0.256]],
  "species": ["Tm", "Tm", "Tm", "Tm", "Tm", "Tm", "Tm", "Tm", "Tm", "Tm", "Tm", "Tm", "Co", "Co", "Co", "Co", "Co", "Co", "Co", "Co", "Si", "Si", "Si", "Si", "Si", "Si", "Si", "Si", "Si", "Si", "Si", "Si"],
  "frac_coords": [[0.125, 0.457, 0.388], [0.625, 0.043, 0.612], [0.875, 0.543, 0.888], [0.375, 0.957, 0.112], [0.875, 0.543, 0.612], [0.375, 0.957, 0.388], [0.125, 0.457, 0.112], [0.625, 0.043, 0.888], [0.627, 0.310, 0.250], [0.127, 0.190, 0.750], [0.373, 0.690, 0.750], [0.873, 0.810, 0.250], [0.892, 0.088, 0.411], [0.392, 0.412, 0.589], [0.108, 0.912, 0.911], [0.608, 0.588, 0.089], [0.108, 0.912, 0.589], [0.608, 0.588, 0.411], [0.892, 0.088, 0.089], [0.392, 0.412, 0.911], [0.094, 0.159, 0.250], [0.594, 0.341, 0.750], [0.906, 0.841, 0.750], [0.406, 0.659, 0.250], [0.634, 0.306, 0.460], [0.134, 0.194, 0.540], [0.366, 0.694, 0.960], [0.866, 0.806, 0.040], [0.366, 0.694, 0.540], [0.866, 0.806, 0.460], [0.634, 0.306, 0.040], [0.134, 0.194, 0.960]],
  "dos_at_fermi_per_ev_fu": 4.7,
  "relative_energy_mev_per_atom": 6,
  "volume_a3_per_cell": 567,
  "raw_formation_energy_kj_per_mol_fu": -597,
  "total_energy_ev_per_atom": -6.26
}

----------

No. 1
VASP calculation (PBE-GGA) on LiMgMo2 after structural relaxation.

Output
Symmetry = C2/m, No. 12
Fermi-level density of states = 2.18 states/eV per cell
Total DFT energy (no corrections) = -5.9735 eV/atom
Formation energy = 0.319 eV/atom

Geometry as extended XYZ:
```
4
____________

At that precise moment, I never felt more alone in my own ability to see how fake this society is, and how much I am trapped in some dystopia of a world where everyone else will look at you as though you're the crazy one.

It was a mounting process, I guess. I now spend my days surrounded by people, having to bite my tongue constantly every time someone says something stupid or brainwashed... One of my greatest fears was always to lose the ability to monitor like a dictator what comes out of my mouth in front of these people... and now... now it's slipping away from me. Like a volcano, the magma is just coming out of my mouth in bursts beyond my control.

Last night, I retreated swiftly away from people before more of my desperation could be spotted. I wished so much I could close my eyes and when I'd open them again, everything would be different - this whole fucked up reality would be gone and I would finally be able to live as a real human being.

God I hate this world.

I can't cope with being among people so much. By people, I mean all the sheep. I just... I can't. It drives me nuts beyond words.

My social mask is melting down. More and more, I lose the ability to bite my tongue, but what I have to say... No one likes it. I'm an extreme-sounding person who wouldn't hurt a fly - but my words are true, perhaps not always accurate, but REAL - from a THINKING human being, not a mere shell that looks human and parrots what others say.

I hate this world SO fucking much. This asylum.

Data records from another source follow.
PrNdNiPt: relaxed, PBE.

Summary:
SG = F-43m
Magnetic moment = 0.0000 μB per atom
Crystal system = cubic
Energy relative to the elements = -58.9 kJ/mol of atoms
Relative energy among the computed polymorphs = 0.112 eV per atom

Lattice parameters (Å, degrees): 7.1587 7.1587 7.1587 90.00 90.00 90.00
With the nearest neighbours (Å) after each atom.
Positions (direct):
Pr (0.0000, 0.0000, 0.0000)  4 Pt 3.10, 4 Ni 3.10
Pr (0.0000, 0.5000, 0.5000)  4 Pt 3.10, 4 Ni 3.10
Pr (0.5000, 0.0000, 0.5000)  4 Pt 3.10, 4 Ni 3.10
Pr (0.5000, 0.5000, 0.0000)  4 Pt 3.10, 4 Ni 3.10
Nd (0.0000, 0.0000, 0.5000)  4 Ni 3.10, 4 Pt 3.10
Nd (0.0000, 0.5000, 0.0000)  4 Ni 3.10, 4 Pt 3.10
Nd (0.5000, 0.0000, 0.0000)  4 Ni 3.10, 4 Pt 3.10
Nd (0.5000, 0.5000, 0.5000)  4 Ni 3.10, 4 Pt 3.10
Ni (0.2500, 0.2500, 0.2500)  4 Pr 3.10, 4 Nd 3.10
Ni (0.2500, 0.7500, 0.7500)  4 Pr 3.10, 4 Nd 3.10
Ni (0.7500, 0.2500, 0.7500)  4 Pr 3.10, 4 Nd 3.10
Ni (0.7500, 0.7500, 0.2500)  4 Pr 3.10, 4 Nd 3.10
Pt (0.2500, 0.2500, 0.7500)  4 Pr 3.10, 4 Nd 3.10
Pt (0.2500, 0.7500, 0.2500)  4 Pr 3.10, 4 Nd 3.10
Pt (0.7500, 0.2500, 0.2500)  4 Pr 3.10, 4 Nd 3.10
Pt (0.7500, 0.7500, 0.7500)  4 Pr 3.10, 4 Nd 3.10

=====

# 1
{
  "formula": "KBaSi",
  "functional": "PBE",
  "state": "optimized geometry",
  "lattice_angstrom": [[4.652, -3.230, 0.000], [4.652, 3.230, 0.000], [-1.877, 0.000, 7.775]],
  "species": ["K", "K", "Ba", "Ba", "Si", "Si"],
  "frac_coords": [[0.000, 0.500, 0.000], [0.500, 0.000, 0.000], [0.165, 0.165, 0.436], [0.835, 0.835, 0.564], [0.487, 0.487, 0.343], [0.513, 0.513, 0.657]],
  "final_energy_ev_per_atom": -2.78,
  "raw_formation_energy_kj_per_mol_atoms": 3,
  "de_polymorph_ev_per_atom": 0.277
}

# 2
{
  "formula": "NaZrTeS",
  "functional": "PBE",
  "state": "optimized geometry",
  "lattice_angstrom": [[1.926, 1.112, 7.518], [-1.926, 1.112, 7.518], [0.000, -2.224, 7.518]],
  "species": ["Na", "Zr", "Te", "S"],
  "frac_coords": [[0.000, 0.000, 0.000], [0.190, 0.190, 0.190], [0.772, 0.772, 0.772], [0.588, 0.588, 0.588]],
  "final_energy_ev_per_atom": -5.45,
  "raw_formation_energy_kj_per_mol_atoms": -112
}

# 3
{
  "formula": "BeCdHg2",
  "functional": "PBE",
  "state": "optimized geometry",
  "lattice_angstrom": [[-2.210, 2.210, 4.085], [2.210, -2.210, 4.085], [2.210, 2.210, -4.085]],
  "species": ["Be", "Cd", "Hg", "Hg"],
  "frac_coords": [[0.000, 0.000, 0.000], [0.500, 0.500, 0.000], [0.250, 0.750, 0.500], [0.750, 0.250, 0.500]],
  "final_energy_ev_per_atom": -0.88,
  "de_polymorph_ev_per_atom": 0.205,
  "formation_energy_ev_per_atom": 0.4344
}

# 4
{
  "formula": "Ag3IBr2",
  "functional": "PBE",
  "state": "optimized geometry",
  "lattice_angstrom": [[-2.274, 6.810, 3.198], [2.274, -6.810, 3.198], [2.274, 6.810, -3.198]],
  "species": ["Ag", "Ag", "Ag", "I", "Br", "Br"],
  "frac_coords": [[0.000, 0.000, 0.000], [0.354, 0.023, 0.331], [0.693, 0.023, 0.669], [0.265, 0.765, 0.500], [0.596, 0.765, 0.831], [0.934, 0.765, 0.169]],
  "final_energy_ev_per_atom": -2.55,

And everything is FAKE.

VASP calculation (PBE-GGA) on an optimized crystal structure of CoTc2Te.

Cell: 4.725 4.725 4.619 Å, 81.94 81.94 37.57°
Last column: magnetic moment on the atom in μB.
Atoms (fractional coordinates):
Tc1 0.979 0.979 0.040  0.04
Co1 0.250 0.250 0.250  0.63
Te1 0.750 0.750 0.750  -0.01
Tc2 0.521 0.521 0.460  0.04

Properties
Electronic total energy ... -29.49 eV/cell
Formation energy (no corrections) ... 0.37 eV/atom
Space-group type ... C2/m (12)
N(E_F) ... 4.04 states/eV/cell
V ... 62 Å³/cell

=====

Pu2InHg6 (PBE, optimized geometry); formation enthalpy at 0 K = -0.04 eV/atom; SG = C2/m; raw total energy = -3.7328 eV per atom
1.0
6.0538 -0.0167 -0.0096
0.0429 6.6446 0.0187
0.0429 3.3266 5.7519
Hg In Pu
6 1 2
Cartesian
4.1148 1.8210 1.0539 Hg
2.0111 5.1450 4.7080 Hg
2.0248 8.1336 4.7071 Hg
4.1285 3.3092 3.6455 Hg
2.0111 6.6454 2.1154 Hg
4.1285 4.8096 1.0530 Hg
0.0000 0.0000 0.0000 In
5.1021 6.6226 3.8327 Pu
1.0376 3.3320 1.9283 Pu

=====

Pu3InHg2 (PBE, optimized geometry); formation enthalpy at 0 K = -0.15 eV/atom; SG = P4/mmm; raw total energy = -7.8759 eV per atom
1.0
-0.2497 3.1832 0.2781
-3.0737 -0.3156 0.8517
3.9629 -0.9092 13.9648
Pu In Hg
3 1 2
Cartesian
1.3135 -0.3013 4.6286 Pu
2.6494 -0.6078 9.3361 Pu
0.0000 0.0000 0.0000 Pu
0.3197 0.9792 7.5473 In
1.6452 0.6751 12.2183 Hg
-1.0058 1.2833 2.8763 Hg

=====

Pu2In5Hg12 (PBE, optimized geometry); formation enthalpy at 0 K = -0.02 eV/atom; SG = C2/m; raw total energy = -2.4398 eV per atom
1.0
-2.0001 -1.8012 -5.2431
6.0829 -7.7628 -3.7532
-2.7229 -10.1854 0.4382
Hg In Pu
12 5 2
Cartesian
0.8924 -17.2477 -8.0943 Hg
-0.9799 -14.0715 -5.2909 Hg
2.1503 -7.8348 -5.6624 Hg
-1.9810 -8.9714 -3.6959 Hg
0.4675 -2.5017 -0.4639 Hg
2.3398 -5.6780 -3.2673 Hg
0.3652 -11.0398 -5.6138 Hg
0.9947 -8.7096 -2.9443 Hg
-1.2430 -6.6636 -1.5619 Hg
3.3409 -10.7781 -4.8622 Hg
-0.7904 -11.9147 -2.8958 Hg
2.6029 -13.0858 -6.9962 Hg
1.6972 -15.6832 -5.4992 In
-0.7209 -7.1283 -5.6348 In
-1.0000 -0.9006 -2.6215 In
-0.3373 -4.0663 -3.0589 In
2.0808 -12.6211 -2.9234 In
-0.9966 -9.7105 -0.3835 Pu
4.3566 -8.2378 -2.9315 Pu

=====

PuIn5Hg4 (PBE, optimized geometry); formation enthalpy at 0 K = -0.06 eV/atom; SG = P-1; raw total energy = -2.9794 eV per atom
1.0
4.9071 0.0072 -1.2694
-0.4525 6.7959 -1.7810
-0.3595 -1.4425 8.7046
In Hg Pu
5 4 1
Cartesian
2.2273 3.4016 -1.5252 In
3.4968 4.8759 3.3542 In
3.0087 2.4409 1.5043 In
0.5983 0.4847 2.3001 In
1.0864 2.9197 4.1500 In
4.1753 3.4175 5.9766 Hg
-0.0802 1.9431 -0.3224 Hg
1.3236 -0.2674 5.1006 Hg
2.7714 5.6280 0.5536 Hg
2.4536 0.0036 -0.6347 Pu

=====

Pu2InHg8 (PBE, optimized geometry); formation enthalpy at 0 K = -0.08 eV/atom; SG = P4/mmm; raw total energy = -3.1553 eV per atom
1.0
-0.6364 -4.9131 -0.3932
4.7790 -0.5186 -1.2612
2.8579 -1.2790 11.3550
Hg Pu In
8 2 1
Cartesian
4.8358 -1.3541 9.0894 Hg
1.1107 -3.0961 5.4809 Hg
0.0933 -2.6407 1.4384 Hg
2.1281 -3.5514 9.5234 Hg
2.8010 -0.4435 1.0044 Hg
3.8184 -0.8988 5.0469 Hg
4.0216 -3.5887 6.9220 Hg
2.9788 -3.1220 2.7786 Hg


  1. Having spent some time mulling over what you have said here I can only say how refreshing it is to hear someone say what I have been thinking for many years. It is something I have alluded to in conversations I have had with friends, although not quite the way you have approached it, as I tended to approach it from the angle of how materialistic everybody is. Not only the desire to have things to show their perceived worth but also the 'must have' things that are produced to satisfy our consumption.

    I suppose it's a bit like the credit rating system they use for a countries financial status although I'm on really shaky ground on this analogy. But maybe that's how society now likes to measure people; a nice house, car, clothes, gadgets and gizmos in your house/car/person. It's all a bit bland and boring to me, maybe because I don't really have those things but the question I ask myself is do I really want that? Do I want to be measured like that? Am I not worth more than a cursory glance to see if I've got the latest iPhone or dressed in the latest trend? Ultimately none of that really matters and people who think that it does are fools who have bought into the here and now.

    So really everything is fake but for the vast majority of people it is just all too real; a bit like 'The Matrix'. So the question you have to ask is which one to swallow; the red one or the blue one?

  2. I have to say the quality of your comments are refreshing, too. One reason I started writing blogs was to be able to express all the things I can never express in any social situation without either being ignored or considered a weirdo. But the amount of things that shock me, depress me and anger me became so much that I really needed a place to express my self without having to play the social game of expectation, be it in terms of what we're expected to do, say, or think among others just as trapped in this illusory and corrupted 'society'.

    Everything is mostly about appearance. The 'higher' the sphere of influence, the more guarded and censored one has to be when they speak or express themselves... The job I have right now is like a crash course to experience first-hand how much of this world is based on appearance and social expectations.

    When I was younger, I was more ambivalent with regards to materiality. I knew it wasn't what mattered, yet I kept being pulled to an extent by the constant re-enforcement within society of making you WANT things endlessly. We live in a setting where almost everything around you is telling you that you need to get this or that - nonstop. It's not a society, and we are no longer human beings, it's a consumption machine and we've become customers as well as commodities ourselves with a price linked to how big our pockets are. Our only 'role' is to keep the machine going by overworking ourselves and then spend the money we get. Work, spend, work, spend... In other words, consume, consume, consume, and then die.

    The majority of people are nothing but the reflection of the power above them. Whatever system prevails, it will then be reflected in its people with only a minority capable of questioning it. It's all about influence, it's always been about influence.

    Our current society reminds me of ancient Rome in a way, during the decadent era that led to its destruction. It led me to wonder whether we've evolved at all since that time, or have we just upgraded the landscapes? We may have all this mind-blowing technology, but in terms of human/mind growth, most are just as backward and limited as ever...
